When Mr. Right Turns Out To Be Mr. Wrong: A Saga of Deception, Motherhood, and a Mug that Revealed It All

Ladies, gentlemen, and everyone who’s tired of modern dating’s plot twists worse than a daytime soap opera, gather around. Let me regale you with a tale that’s as jaw-dropping as it is a masterclass in ‘What Not To Do in Relationships 101.’ Yes, this comes from a real Reddit story by a real person who found herself in a plot so twisted, it could make a pretzel weep out of envy. Ready? Let’s dive into the deep end of this dating pool fiasco.

Our protagonist, a 24-year-old woman with clarity about not wanting kids—a stance as solid as a slab of granite—meets a man. Ah, yes, the beginnings of what seemed like a modern love story. Fast forward through the ‘honeymoon’ phase, and we reach the moment of our collective gasp: discovering a ‘Leveled up to dad’ mug that catapults our heroine from enchantment to a bewildering real-life plot twist.

Turns out, Prince Charming was actually Daddy Dearest in disguise. With a reveal more shocking than finding out your favorite vegan restaurant secretly specializes in barbecue, our man admits to hiding not just any skeleton, but a diaper-wearing, formula-drinking bambino. The reason? A heartstrings-tugging tale of loss, longing, and a misguided attempt to find a maternal stand-in that would make even Freud pause and reflect.

Calculated crystals from another source follow:
........
(1)
The following is a theoretical powder X-ray diffraction pattern of CdSbCl. It was derived from a cell relaxed with PBE, using copper Kα.
Intensities are scaled so that the largest is 100.

Largest 10 diffraction maxima, sorted by position, 2θ from 10° to 90°:
- 13.56 deg, I 87, (0 1 1)
- 21.69 deg, I 42, (0 0 2)
- 22.28 deg, I 100, (1 1 0)
- 27.04 deg, I 50, (0 3 1)
- 27.32 deg, I 38, (0 2 2)
- 28.71 deg, I 100, (1 2 1)
- 39.37 deg, I 33, (1 3 2)
- 40.98 deg, I 61, (1 4 1)
- 42.10 deg, I 36, (2 0 0)
- 42.66 deg, I 100, (1 2 3)

Crystal structure
a b c (Å): 4.2927 10.8065 8.1933
angles (deg): 90.00 90.00 90.00
Space group Ima2 (No. 46)
Symmetry-distinct sites (fractional):
Cd  0.2500  0.1774  0.0000 (multiplicity 4)
Sb  0.2500  0.0875  0.3185 (multiplicity 4)
Cl  0.2500  0.6343  0.3233 (multiplicity 4)

(2)
The following is a theoretical powder X-ray diffraction pattern of CdSbTe2Cl. It was derived from a cell relaxed with PBE, using copper Kα.
Intensities are scaled so that the largest is 100.

Largest 10 diffraction maxima, sorted by position, 2θ from 10° to 90°:
- 15.58 deg, I 45, (0 0 1)
- 16.01 deg, I 80, (1 0 0)
- 27.67 deg, I 94, (1 1 1)
- 31.46 deg, I 54, (0 0 2)
- 32.35 deg, I 100, (2 0 0)
- 45.75 deg, I 75, (2 0 2)
- 46.40 deg, I 36, (2 2 0)
- 54.88 deg, I 27, (3 1 1)
- 57.14 deg, I 38, (2 2 2)
- 85.58 deg, I 24, (4 2 2)

Crystal structure
a b c (Å): 5.5352 5.5352 5.6870
angles (deg): 90.00 90.00 90.00
Space group P4/mmm (No. 123)
Symmetry-distinct sites (fractional):
Cd  0.0000  0.0000  0.0000 (multiplicity 1)
Sb  0.0000  0.0000  0.5000 (multiplicity 1)
Te  0.0000  0.5000  0.0000 (multiplicity 2)
Cl  0.5000  0.5000  0.5000 (multiplicity 1)

(3)
The following is a theoretical powder X-ray diffraction pattern of ScCdCl. It was derived from a cell relaxed with PBE, using copper Kα.
Intensities are scaled so that the largest is 100.

Largest 10 diffraction maxima, sorted by position, 2θ from 10° to 90°:
- 11.73 deg, I 60, (2 0 0)
- 23.59 deg, I 54, (4 0 0)
- 30.47 deg, I 58, (0 1 1)
- 30.83 deg, I 38, (1 0 2)
- 31.05 deg, I 24, (1 1 1)
- 35.23 deg, I 69, (3 0 2)
- 35.42 deg, I 100, (3 1 1)
- 38.89 deg, I 46, (4 1 1)
- 54.26 deg, I 26, (0 2 0)
- 66.36 deg, I 28, (3 2 2)

Crystal structure
a b c (Å): 15.0851 3.3801 5.9104
angles (deg): 90.00 90.00 90.00
Space group Amm2 (No. 38)
Symmetry-distinct sites (fractional):
Sc  0.1598  0.0000  0.0000 (multiplicity 4)
Cd  0.0000  0.0000  0.6695 (multiplicity 2)
Cd  0.5000  0.0000  0.9247 (multiplicity 2)
Cl  0.2720  0.0000  0.6676 (multiplicity 4)

(4)
The following is a theoretical powder X-ray diffraction pattern of CdSeCl. It was derived from a cell relaxed with PBE, using copper Kα.
Intensities are scaled so that the largest is 100.

Largest 10 diffraction maxima, sorted by position, 2θ from 10° to 90°:
- 16.56 deg, I 49, (1 0 1)
- 18.00 deg, I 99, (0 1 2)
- 27.99 deg, I 24, (1 1 0)
- 30.61 deg, I 53, (1 1 3)
- 36.46 deg, I 34, (0 2 4)
- 37.48 deg, I 100, (2 -1 6)
- 38.57 deg, I 37, (2 0 5)
........

But wait, it gets juicier. The collective outcry of ‘How could you leave him during his time of need?’ from our protagonist’s societal circle adds a layer of guilt-tripping that’s as unwelcome as pineapple on pizza (fight me). Our hero stands her ground, refusing to be pigeonholed into a ‘maternal instinct’ narrative faster than you can say ‘traditional gender roles.’

**Roger’s Hot Take**:

Dear readers, if this story teaches us anything, it’s that honesty in relationships is non-negotiable. Being upfront about major life circumstances such as, oh I don’t know, HAVING A CHILD, is not an optional tidbit you reveal when the mood strikes. It’s a fundamental foundation of trust and respect. Additionally, the notion that someone can be guilt-tripped into parenthood is as outdated as dial-up internet. My fiery take? Our protagonist isn’t heartless; she’s a boundary-setting queen refusing to be anyone’s Plan B or emotional crutch.

In a world where ‘You’ll change your mind’ is lobbed at women like an unsolicited advice grenade, standing firm on your life choices is revolutionary. As for the ex? A therapy appointment would serve him better than any ill-conceived plot to replicate his past. Love and grief are complex, but they’re never a free pass for deception.

Remember, folks, a relationship built on a foundation of lies is about as stable as a house of cards in a wind tunnel. And to those who say our protagonist lacks empathy? I’d argue it’s empathy itself that guided her decision to not lead on a man she couldn’t see a future with.

In conclusion, may your dating journey be free of ‘Leveled up to dad’ mugs unless you’re absolutely sure that’s the DLC you signed up for in this game called life. Keep your standards high, your honesty unwavering, and for goodness’ sake, let’s leave the plot twists for Netflix.

Until next time, this has been Roger, serving up another hot take faster than you can say ‘Check, please.’ Remember, in the grand restaurant of life, always order what you truly desire—not what others think should be on your plate.

Original story

I 24F met my 26M ex last year and we started dating in December.

Before we started dating I told him that I did not want kids ever. I don’t want the responsibility of a child. My mom still hasn’t accepted it and I’m always told I’ll hangs my mind but I’ve never felt maternal. I’ve known since I was 16 that being a mom/ parental figure was not for me. People always tell me I’ll change my mind.

What comes next are data records, not part of the text:
____________
Starting from the PBE geometry in the Materials Project, the powder diffraction line list of Nd3Si6N11 was computed for Cu Kα, 1.54184 Å.
Intensities are scaled so that the largest is 100.

Crystal structure
abc: 10.1360 10.1360 4.8926
angles: 90.00 90.00 90.00
Space group P4bm (No. 100)
Symmetry-distinct sites (fractional):
Nd: 0.0000 0.0000 0.0000 x2
Nd: 0.1826 0.3174 0.0190 x4
Si: 0.0789 0.7910 0.5470 x8
Si: 0.1173 0.6173 0.0566 x4
N: 0.0000 0.5000 0.0847 x2
N: 0.0756 0.7706 0.1935 x8
N: 0.0799 0.1796 0.6598 x8
N: 0.1533 0.6533 0.7110 x4

Main lines, sorted by position (10 to 90 degrees two-theta):
d/Å  Position (°2θ)  intensity
7.167  12.35  25.1
4.893  18.13  79.8
3.325  26.81  63.4
3.205  27.83  40.1
2.891  30.93  72.7
2.681  33.42  100.0
2.458  36.55  43.7
2.446  36.74  31.6
2.197  41.09  34.9
1.734  52.79  32.3

---

Starting from the PBE geometry in the Materials Project, the powder diffraction line list of Nd3SnN was computed for Cu Kα, 1.54184 Å.
Intensities are scaled so that the largest is 100.

Crystal structure
abc: 5.0141 5.0141 5.0141
angles: 90.00 90.00 90.00
Space group Pm-3m (No. 221)
Symmetry-distinct sites (fractional):
Nd: 0.0000 0.0000 0.5000 x3
Sn: 0.5000 0.5000 0.5000 x1
N: 0.0000 0.0000 0.0000 x1

Main lines, sorted by position (10 to 90 degrees two-theta):
d/Å  Position (°2θ)  intensity
5.014  17.69  1.6
2.895  30.89  100.0
2.507  35.82  55.9
2.242  40.22  0.6
1.773  51.55  39.5
1.512  61.32  43.5
1.447  64.36  13.5
1.254  75.90  6.3
1.150  84.16  18.4
1.121  86.88  18.3

---

Starting from the PBE geometry in the Materials Project, the powder diffraction line list of Nd3TlN was computed for Cu Kα, 1.54184 Å.
Intensities are scaled so that the largest is 100.

Crystal structure
abc: 5.8336 5.8336 5.8336
angles: 90.00 90.00 90.00
Space group Pm-3m (No. 221)
Symmetry-distinct sites (fractional):
Nd: 0.0000 0.0000 0.5000 x3
Tl: 0.0000 0.0000 0.0000 x1
N: 0.5000 0.5000 0.5000 x1

Main lines, sorted by position (10 to 90 degrees two-theta):
d/Å  Position (°2θ)  intensity
5.834  15.19  100.0
3.368  26.46  21.4
2.917  30.65  73.3
2.609  34.38  56.3
2.062  43.90  54.7
1.945  46.71  30.4
1.684  54.49  19.3
1.415  66.03  17.7
1.304  72.46  24.7
1.191  80.69  18.5

---

Starting from the PBE geometry in the Materials Project, the powder diffraction line list of Ni3N was computed for Cu Kα, 1.54184 Å.
Intensities are scaled so that the largest is 100.

Crystal structure
abc: 4.6011 4.6011 4.2939
angles: 90.00 90.00 120.00
Space group P6_322 (No. 182)
Symmetry-distinct sites (fractional):
Ni: 0.0000 0.3294 0.0000 x6
N: 0.3333 0.6667 0.2500 x2

Main lines, sorted by position (10 to 90 degrees two-theta):
d/Å  Position (°2θ)  intensity
2.921  30.61  1.5
2.301  39.16  18.6
2.147  42.09  23.3
2.028  44.69  100.0
1.570  58.83  17.1
1.328  70.96  16.6
1.215  78.74  16.5
1.150  84.17  1.9
1.130  86.08  15.7
1.111  87.87  12.4

---
____________

He asked if I would date someone with a child and I told him I would not date anyone with a child because that isn’t what I wanted. He agreed and said he didn’t want kids either. Things were great. Until about 2 weeks ago I spent the night over his house for the first time and he seemed really fidgety with me being there. He kept going into a different room calling someone. I asked if there was anything wrong and he said no. I went to his kitchen to get a drink and I saw a “Leveled up to dad” mug and it had a controller with a mini controller. I asked him if it was his and he Just broke down crying. I was genuinely so confused. He started blurting out that his ex fiancé got it for him when she found out she was pregnant. She had their baby in August of last year but she passed away during childbirth so the baby is almost a year old but he liked me so much because I reminded him of her and he really likes me and thinks I’d be a good mom because I’m a nurse so I have some maternal instinct in my somewhere which I don’t understand how that translates. He says he was lonely and stressed out. That this was the first night in months that he hasn’t had his kid with him (he always told me he had to be home from dates by 10 because of work, he gets up at like 6am)

Next to the entry, the page also holds materials data >
┌──
PaC3N6: theoretical powder diffractogram (Cu Kα, 1.54184 Å), based on the PBE geometry in Alexandria.
Intensities are scaled so that the largest is 100.

Principal peaks in the range 2θ = 10–80°, most intense first:
h k l  d [Å]  I (rel.)
1 1 0  4.935  100
2 0 0  3.490  44
3 1 0  2.207  36
2 1 1  2.849  33
3 2 1  1.865  32
2 2 0  2.468  24
4 3 1  1.369  18
3 3 0  1.645  18
4 2 0  1.561  12
3 3 2  1.488  10

Crystal structure
Lattice parameters (Å, degrees): 6.979 6.979 6.979 90.00 90.00 90.00
Space group Im-3m (No. 229)
Asymmetric unit:
1 Pa 0.000 0.000 0.000
2 C 0.000 0.000 0.500
3 N 0.000 0.000 0.325


No. 1
# Tb2DyYSe6
Calculated XRD peak list, Cu Kα X-rays. Input: a DFT-relaxed cell (GGA-PBE, Alexandria).
Peak positions follow from Bragg's law for the DFT cell and can differ from measured ones.

Top 12 peaks for 10° ≤ 2θ ≤ 80°, in order of falling intensity:
Position (°2θ)  I (rel.)
37.23  100
28.27  69
43.38  64
23.14  52
16.84  44
34.06  36
24.64  32
42.49  32
49.00  32
58.46  26
75.53  22
61.68  13

Atomic structure:
Cell lengths 7.7193, 7.7193, 7.7193 Å; angles 55.81, 55.81, 55.81 degrees
Fractional coordinates of all 10 atoms:
Tb (0.0000, 0.0000, 0.0000)
Tb (0.4999, 0.4999, 0.4999)
Dy (0.1965, 0.1965, 0.1965)
Y (0.6964, 0.6964, 0.6964)
Se (0.0967, 0.4040, 0.7956)
Se (0.2950, 0.9043, 0.5965)
Se (0.4040, 0.7956, 0.0967)
Se (0.5965, 0.2950, 0.9043)
Se (0.7956, 0.0967, 0.4040)
Se (0.9043, 0.5965, 0.2950)


No. 2
# Pu3In7Pt4
Calculated XRD peak list, Cu Kα X-rays. Input: a DFT-relaxed cell (GGA-PBE, Alexandria).
Peak positions follow from Bragg's law for the DFT cell and can differ from measured ones.

Top 12 peaks for 10° ≤ 2θ ≤ 80°, in order of falling intensity:
Position (°2θ)  I (rel.)
33.89  100
31.97  96
33.20  92
40.62  71
38.61  38
27.74  35
40.86  32
34.06  28
38.00  27
57.28  25
47.08  20
35.26  18

Atomic structure:
Cell lengths 8.5951, 8.5951, 10.2241 Å; angles 121.36, 121.36, 29.95 degrees
Fractional coordinates of all 14 atoms:
Pu (0.0000, 0.0000, 0.0000)
Pu (0.3091, 0.3091, 0.2989)
Pu (0.6909, 0.6909, 0.7011)
In (0.0000, 0.0000, 0.5000)
In (0.1640, 0.1640, 0.4338)
In (0.3177, 0.3177, 0.9742)
In (0.4930, 0.4930, 0.7103)
In (0.5070, 0.5070, 0.2897)
In (0.6823, 0.6823, 0.0258)
In (0.8360, 0.8360, 0.5662)
Pt (0.1173, 0.1173, 0.8355)
Pt (0.3365, 0.3365, 0.7309)
Pt (0.6635, 0.6635, 0.2691)
Pt (0.8827, 0.8827, 0.1645)


No. 3
# RePb2
Calculated XRD peak list, Cu Kα X-rays. Input: a DFT-relaxed cell (GGA-PBE, Alexandria).
Peak positions follow from Bragg's law for the DFT cell and can differ from measured ones.

Top 12 peaks for 10° ≤ 2θ ≤ 80°, in order of falling intensity:
Position (°2θ)  I (rel.)
32.91  100
34.97  86
31.06  70
29.69  70
40.74  56
35.43  50
30.09  42
37.73  31
53.68  30
28.65  29
65.69  28
51.28  26

Atomic structure:
Cell lengths 10.2732, 3.4150, 9.2299 Å; angles 90.00, 103.45, 90.00 degrees
Fractional coordinates of all 12 atoms:
Re (0.0000, 0.0000, 0.0000)
Re (0.0617, 0.5000, 0.1817)
Re (0.5000, 0.5000, 0.0000)
└──

I can’t even describe how confused and weirded out I was. Not only that he hid that he had a child but that he was really only with me because I reminded him of his fiance and he wants a replacement for her. I told him I’m sorry about what he was going through and it must be hard to be thrown into being a single dad and losing his fiancée but I am not going to be a replacement for her. I told him he should probably seek therapy to deal with it because he is still grieving. He tried to go on saying this is why I’d be a good mom and tried to show me a picture of his son. I told him I had to go and we would talk soon.

I took a day to myself and then I asked him to meet up so we could talk and he brought his son. I told him he was a really nice guy and he would make someone happy but I couldn’t be with him because I told him my stance on children, he lied about having a child, and I felt like he wanted me as a replacement for his fiance. I told him he needed time to grieve and heal and right now. He tried to beg me to rethink but I ended it and left.

We met through a mutual friend and I guess he told her and she said how could I leave him in his time of need and she “picked me for him” because I was similar to his fiancée and I would be a good mom if I Just had the chance and this was it and how could I ever be a real woman if I don’t have kids. We are no longer in contact but sadly I do have to work with her because that’s how we met. I don’t know why I told my mom this knowing how she feels about me not having kids but I thought she would be on my side or at least give me comfort. I was wrong. She said the same thing pretty much, that he was vulnerable with me and I should have tried to make it work and how she could have raised someone who lacked empathy.